Material.
~~~
Compound: Ba2FeCoF9
Source: Materials Project
Functional: PBE+U
Structure: optimized geometry

a = 5.7956 Å, b = 18.0144 Å, c = 9.4718 Å
α = 90.00°, β = 126.61°, γ = 90.00°
Sites, in units of the cell vectors:
Ba (0.0471, 0.0361, 0.3023)
Ba (0.0471, 0.4639, 0.8023)
Ba (0.2113, 0.7173, 0.9285)
Ba (0.2113, 0.7827, 0.4285)
Ba (0.7887, 0.2173, 0.5715)
Ba (0.7887, 0.2827, 0.0715)
Ba (0.9529, 0.5361, 0.1977)
Ba (0.9529, 0.9639, 0.6977)
Fe (0.3528, 0.1257, 0.0877)
Fe (0.3528, 0.3743, 0.5877)
Fe (0.6472, 0.6257, 0.4123)
Fe (0.6472, 0.8743, 0.9123)
Co (0.4598, 0.5871, 0.7285)
Co (0.4598, 0.9129, 0.2285)
Co (0.5402, 0.0871, 0.7715)
Co (0.5402, 0.4129, 0.2715)
F (0.0080, 0.5710, 0.5723)
F (0.0080, 0.9290, 0.0723)
F (0.1041, 0.0853, 0.6012)
F (0.1041, 0.4147, 0.1012)
F (0.2113, 0.1654, 0.2129)
F (0.2113, 0.3346, 0.7129)
F (0.2453, 0.2093, 0.9353)
F (0.2453, 0.2907, 0.4353)
F (0.2604, 0.6638, 0.2404)
F (0.2604, 0.8362, 0.7404)
F (0.3920, 0.6945, 0.7041)
F (0.3920, 0.8055, 0.2041)
F (0.4316, 0.5821, 0.9316)
F (0.4316, 0.9179, 0.4316)
F (0.4756, 0.5765, 0.5181)
F (0.4756, 0.9235, 0.0181)
F (0.4844, 0.0329, 0.2406)
F (0.4844, 0.4671, 0.7406)
F (0.5156, 0.5329, 0.2594)
F (0.5156, 0.9671, 0.7594)
F (0.5244, 0.0765, 0.9819)
F (0.5244, 0.4235, 0.4819)
F (0.5684, 0.0821, 0.5684)
F (0.5684, 0.4179, 0.0684)
F (0.6080, 0.1945, 0.7959)
F (0.6080, 0.3055, 0.2959)
F (0.7396, 0.1638, 0.2596)
F (0.7396, 0.3362, 0.7596)
F (0.7547, 0.7093, 0.5647)
F (0.7547, 0.7907, 0.0647)
F (0.7887, 0.6654, 0.2871)
F (0.7887, 0.8346, 0.7871)
F (0.8959, 0.5853, 0.8988)
F (0.8959, 0.9147, 0.3988)
F (0.9920, 0.0710, 0.9277)
F (0.9920, 0.4290, 0.4277)

Computed properties:
**ΔH_f (0 K)**: -3.302 eV/atom
**MP2020-corrected energy**: -0.4499 Ry/atom


Compound: NaNdFe4O12
Source: Materials Project
Functional: PBE+U
Structure: optimized geometry

a = 5.3785 Å, b = 5.3785 Å, c = 7.6608 Å
α = 90.00°, β = 90.00°, γ = 90.00°
Sites, in units of the cell vectors:
Na (0.0000, 0.0000, 0.0000)
Nd (0.5000, 0.5000, 0.5000)
Fe (0.0000, 0.5000, 0.2447)
Fe (0.0000, 0.5000, 0.7553)
Fe (0.5000, 0.0000, 0.2447)
Fe (0.5000, 0.0000, 0.7553)
O (0.0000, 0.5000, 0.0000)
O (0.0000, 0.5000, 0.5000)
O (0.2581, 0.2581, 0.2619)
O (0.2581, 0.2581, 0.7381)
O (0.2581, 0.7419, 0.2619)
O (0.2581, 0.7419, 0.7381)
O (0.5000, 0.0000, 0.0000)
O (0.5000, 0.0000, 0.5000)
O (0.7419, 0.2581, 0.2619)
O (0.7419, 0.2581, 0.7381)
O (0.7419, 0.7419, 0.2619)
O (0.7419, 0.7419, 0.7381)

Computed properties:
**ΔH_f (0 K)**: -1.398 eV/atom
**MP2020-corrected energy**: -0.5084 Ry/atom


Compound: Li3MnPCO7
Source: Materials Project
Functional: PBE+U
Structure: optimized geometry

a = 6.5842 Å, b = 8.5948 Å, c = 9.9535 Å
α = 94.54°, β = 90.31°, γ = 90.43°
Sites, in units of the cell vectors:
Li (0.0000, 0.0000, 0.0000)
Li (0.0013, 0.0001, 0.5031)
Li (0.0038, 0.5599, 0.7843)
Li (0.2129, 0.1841, 0.7621)
Li (0.2181, 0.1792, 0.2589)
Li (0.2655, 0.6292, 0.5137)
Li (0.2679, 0.6302, 0.9948)
Li (0.4926, 0.8062, 0.7713)
Li (0.4955, 0.8141, 0.2605)
Li (0.7325, 0.6310, 0.9950)
Li (0.7796, 0.1783, 0.2590)
Li (0.7850, 0.1840, 0.7615)
Mn (0.0048, 0.5603, 0.2589)
Mn (0.4993, 0.2445, 0.9927)
Mn (0.4987, 0.2466, 0.4957)
Mn (0.7492, 0.6375, 0.5274)
P (0.4975, 0.4967, 0.7461)
P (0.4997, 0.4949, 0.2450)
P (0.9994, 0.3142, 0.5248)
P (0.9993, 0.3156, 0.0218)
C (0.4978, 0.9403, 0.5323)
C (0.4995, 0.9378, 0.0322)
C (0.9947, 0.8692, 0.7350)
C (0.9969, 0.8713, 0.2361)
O (0.9998, 0.3237, 0.1802)
O (0.9997, 0.4844, 0.9804)
O (0.0002, 0.8349, 0.8571)
O (0.0006, 0.4819, 0.4727)
O (0.1827, 0.2163, 0.9682)
O (0.1830, 0.2176, 0.4678)
O (0.3118, 0.5925, 0.7958)
O (0.3179, 0.5946, 0.3004)
O (0.4971, 0.0507, 0.6279)
O (0.4972, 0.7942, 0.5650)
O (0.4980, 0.3267, 0.7879)
O (0.4988, 0.3269, 0.2906)
O (0.4986, 0.4834, 0.5853)
O (0.4987, 0.9717, 0.4080)
O (0.4987, 0.9745, 0.9089)
O (0.4997, 0.0490, 0.1298)
O (0.5002, 0.4821, 0.0879)
O (0.4998, 0.7925, 0.0612)
O (0.6878, 0.5931, 0.3019)
O (0.6885, 0.5940, 0.7919)
O (0.8138, 0.2161, 0.4678)
O (0.8147, 0.2154, 0.9671)
~~~
Job.
Search the lines above for the word "MP2020-corrected" and set down each line that has it.
Here it is.
**MP2020-corrected energy**: -0.4499 Ry/atom
**MP2020-corrected energy**: -0.5084 Ry/atom